[Job]
Count the lines further down that contain the word "formula" and give the number alone.

[Entries]
........
*i*
{"formula": "MgMo3Se4S2", "functional": "PBE-GGA", "state": "optimized geometry", "cell": [[3.275, 0.000, 0.000], [-1.638, 2.837, 0.000], [0.000, 0.000, 30.248]], "species": ["Se", "Se", "Se", "Se", "Mo", "Mo", "Mo", "S", "S", "Mg"], "frac_coords": [[0.667, 0.333, 0.060], [0.667, 0.333, 0.634], [0.667, 0.333, 0.172], [0.667, 0.333, 0.522], [0.333, 0.667, 0.116], [0.333, 0.667, 0.578], [0.667, 0.333, 0.347], [0.333, 0.667, 0.398], [0.333, 0.667, 0.296], [0.000, 0.000, 0.846]]}

***

*ii*
{"formula": "MgMo3Se4S2", "functional": "PBE-GGA", "state": "optimized geometry", "cell": [[3.283, 0.000, 0.000], [-1.642, 2.843, 0.000], [0.000, 0.005, 36.178]], "species": ["Se", "Se", "Se", "Se", "Mo", "Mo", "Mo", "Mg", "S", "S"], "frac_coords": [[0.667, 0.333, 0.631], [0.667, 0.334, 0.069], [0.667, 0.333, 0.537], [0.667, 0.333, 0.162], [0.333, 0.667, 0.584], [0.667, 0.333, 0.338], [0.333, 0.667, 0.116], [0.667, 0.334, 0.456], [0.333, 0.667, 0.295], [0.333, 0.666, 0.380]]}

***

Most stable: *ii*

***

*i*
{"formula": "LiCu6OF11", "functional": "PBE-GGA", "state": "optimized geometry", "cell": [[2.679, 0.001, -4.635], [-0.047, 4.784, -0.026], [7.258, -0.108, 4.655]], "species": ["Cu", "Cu", "Cu", "Cu", "Cu", "Cu", "F", "F", "F", "F", "F", "F", "F", "F", "F", "F", "F", "Li", "O"], "frac_coords": [[0.973, 0.000, 0.002], [0.827, 0.497, 0.322], [0.201, 0.490, 0.645], [0.346, 0.983, 0.325], [0.420, 0.574, 0.060], [0.685, 0.003, 0.650], [0.127, 0.290, 0.404], [0.384, 0.807, 0.577], [0.987, 0.200, 0.732], [0.147, 0.681, 0.907], [0.665, 0.821, 0.919], [0.786, 0.325, 0.047], [0.633, 0.197, 0.407], [0.502, 0.320, 0.732], [0.883, 0.681, 0.601], [0.271, 0.193, 0.082], [0.046, 0.783, 0.246], [0.807, 0.489, 0.843], [0.548, 0.694, 0.250]]}

***

*ii*
{"formula": "LiCu6OF11", "functional": "PBE-GGA", "state": "optimized geometry", "cell": [[0.287, -1.487, -5.208], [-2.005, -4.020, 1.084], [-8.399, 3.654, -1.392]], "species": ["F", "F", "F", "F", "F", "F", "F", "F", "F", "F", "F", "Cu", "Cu", "Cu", "Cu", "Cu", "Cu", "Li", "O"], "frac_coords": [[0.704, 0.809, 0.929], [0.795, 0.282, 0.078], [0.625, 0.162, 0.396], [0.123, 0.266, 0.379], [0.443, 0.311, 0.756], [0.053, 0.774, 0.229], [0.392, 0.802, 0.603], [0.283, 0.219, 0.078], [0.950, 0.229, 0.762], [0.206, 0.728, 0.909], [0.878, 0.730, 0.610], [0.473, 0.577, 0.047], [0.841, 0.450, 0.286], [0.164, 0.522, 0.688], [0.660, 0.009, 0.709], [0.001, 0.010, 0.996], [0.342, 0.986, 0.293], [0.639, 0.754, 0.462], [0.552, 0.671, 0.244]]}

***

Most stable: *i*

***

*i*
........

[Reply]
4